Thursday, Mar 20th

Maroon and White Lauds 2024 Student Athletes

Awards 6Moira Crouch presents Joe DeCrescenzo with a cake and a plaque.Diligent student-athletes, who frequently balance six days of practice and games with rigorous academic work loads, other extracurricular activities, time with friends and family, volunteer work, and so much more, often don’t get the credit they deserve. Many SHS athletes participate in a sport all year round and their dedication to their teams can have them missing holidays, vacations with family, and sometimes even days of school. This sort of effort and commitment deserves to be recognized and thankfully Maroon and White, the parent booster association that supports athletics, physical education, and student health at Scarsdale High School and Scarsdale Middle School, celebrates these students with a BBQ and a thoughtful award ceremony at the end of each year.

At this year’s ceremony, on Tuesday June 4th, athletes (with a special focus on seniors) were honored not just for their athletic achievements, but also for their character, sportsmanship, and perseverance. Director of Athletics, Ray Pappalardi welcomed all of the athletes and applauded them for excelling in their “academic and athletic pursuits, surviving the game changes, late buses, long practices, and other challenges that only come from participation in interscholastic athletics.”

Mr. Pappalardi also proudly explained that, “This year, every team [at SHS] has met the NYSPHSAA criteria for scholar-athlete teams. So, Scarsdale High School will be recognized as School of Distinction for 100% of our teams achieving Scholar-Athlete status.”

Timberger Award               Timberger Family Presents the Elizabeth Timberger Memorial AwardThe Elizabeth Timberger Memorial Award was the first award of the evening and was described by Amy Frank, co-president of Maroon and White, as an award that honors an outstanding senior who helps a team and/or the athletic program, not as a student-athlete, but through a role that supports a team and/or the athletic department (such as a manager, statistician, audio-visual assistant, play-by-play person, mascot, or sportswriter). This year’s recipient, manager of the Boys Varsity Basketball Team, Charlie Ferdman, is known for, “always being on time, attending all the practices and games, she was dedicated, energetic and always positive.”

Next, the Nina Mooney Award was presented to a senior female athlete who “displays commitment, enthusiasm, spirit, concern for others and a positive work ethic. The nominees reflect the highest level of dedication to their teams and sports, and the award does not have an academic requirement.” This year’s winner, Shannon Kelly, is described as being thoughtful and compassionate and exemplifies the true meaning of the Nina Mooney award. In addition to going above and beyond in support of her teammates, Shannon was named Honorable mention all-Section in Field Hockey, has set new school records in the girls 800 meter and girls 4x800, and won Nationals with some of her teammates in a Medley Relay. She was captain of the Winter and Spring Track & Field this year. She is not only an outstanding athlete, but also a conscientious, hardworking student. This year’s award winner will be continuing her track career in the Fall at The College of the Holy Cross.

Knopp AwardTrevor Knopp received the Knopp award.The Nonie Knopp Memorial Award was then presented to a senior male athlete who displays commitment, enthusiasm, spirit, concern for others and a positive work ethic. The nominees reflect the highest level of dedication to their teams and sports, and the award does not have an academic requirement. This year’s recipient, Trevor Knopp was described by his coaches as someone who, “displays the positive attitude, dedication, devotion, enthusiasm, and spirit of Nonie Knopp. He is the kind of student-athlete coaches dream about. He works hard in practice, never takes a play off, mentors teammates, and brings out the best in others.”

One coach described this year’s winner as “one of the absolute toughest players and fiercest competitors we have had the pleasure of coaching at Scarsdale. He pushes himself and his teammates every single day. His work ethic drove him to greatness, and forced others to step up their game. He is a vocal leader and a player that leads by example. Where it’s in practice or at games, in any situation you know you can count on him in big moments throughout the season. “He sets the tone.”

PeppersAwardIvy Boockvar received the Peppers AwardThe Peppers Award was established as a leadership and spirit award for one female and one male senior athlete, who distinguished themselves through their dedication and hard work in games and practice, through their unselfish adherence to sportsmanship and team play, and through their active encouragement of all team members.

The recipients of this award are also required to achieve a cumulative grade point average of at least a 3.5, as measured by the most recent grades available at the time the selection is made.

This year’s female winner of the Pepper’s Award, Ivy Boockvar is not only a member of the high school’s Signifer Honor Society, but she also played three sports and volunteered her time to help mentor young girls as a coaches assistant. She was named All Section, All League twice and All Section Honorable Mention for Soccer. She was named All League and All League - Honorable Mention for Basketball and was All Section and All League twice and Player of the Year for Flag Football and is described as “being a selfless player and is respected by her teammates and brilliantly passionate.”

Siegel Award Max Siegel received the Peppers Award Max Siegel, the male recipient of the Pepper’s Award, had an incredible athletic career at Scarsdale High School and an impresseive academic record. “His coaches have seen him as a back up, as injured, and as a starter, and he embraces whatever role is needed for the team, whether that means filling up water during a time out, cheering from the bench, or uplifting a teammate who made a mistake. His switch from playing ice hockey forward to ice hockey goalie to meet the team’s needs and keep playing best exemplifies his dedication, flexibility, character and team mentality.” He was named All-League two years, All Section one year and Captain of Boys Ice-Hockey this year. He played football and was awarded All-League last year and All-Section first teams this year as well as Captain of the Football Team. 

GirlsTennisThe girls tennis team won the state championship.Amy and her co-president Moira Crouch Bandsma, went on to congratulate teams and individuals that saw success at sectional, regional, and state championships, drawing special attention to the girl’s tennis team who won their second consecutive State Championship title. The team included: Coach Jennifer Roane, Carly Alin,Kay Cottrell, Charlene Dong, Emma Ha, Emily Hyman, Katie Kendall, Isabel Lin, Giana Marks, Natasha Pereira - Captain, Jalyn Ryu, Yelena Sahakyan - Captain, Maya Vora - Captain, Sophia Wu.

boyssoccerBoys Soccer TeamThe boys soccer team was also celebrated for their State Championship win. Their team included:
Head Coach Marcos Monteagudo, Assistant Coach Andrew Nagel, Assistant Coach Carlos Vasquez, Assistant Coach Peter Squiteirri, Jose Alava Marino, Nicholas Bates, Daniel Cisneros Lacruz, Federico Dager, Matan Davies, Alexander Duval - Captain, Lorenzo Galeano, Zachary Grossberg, Marc Hajjar, Chase Halpern, Ishaan Joshi, Lucas Kantor - Captain, Leo Khang, Fabian Kulle, Justin Laing, Janghee Lee, Logan Lim, Brian Lourenco-ReisHenry McAllister - Captain, William McAllister, Miles Newman, William Nicholl, Zachary Ruback - Captain, Santiago Rudloff, Shaay Shaleh, Yosuke Sato, Lev Stahl, Caden Zemachson, Zephyr Connolly - Manager, Thomas Kronenberg - Manager

Girls GolfThe girls golf team also saw success at the sectional and state level with Junior Emma Lee snagging second place at the 2024 NYSPHSAA Girls Golf Championship and the Scarsdale Team topping the high school leaderboard!
Girls’ Golf Roster:

Head Coach Barney Foltman, Evelyn Black, Sophia Black, Liya Chu, Maya Dhiman, Chloe Ji, Allison Kahn, Carolyn Lee, Elle Lee, Emma Lee, Sophia Peyser, Anjali Shoetz, Rory Winston, Zoe Winston.

Kevin Jiang was recognized for his swimming success and winning the Section Championship in the 50 Freestyle race and the NYSPHSAA & Federation Champion in the 100 Freestyle.

# Unrelated to this page: crystal structures
<<<
LiYGeAu2 | Alexandria | GGA-PBE | optimized geometry; formation energy = 21 kJ/mol of formula units; total energy = -19.328 eV for the cell shown; Fermi-level density of states = 4.62 states/eV per cell; M_tot = 0.0 μB per formula unit
1.0
4.942 0.000 0.000
0.000 5.358 0.000
0.000 0.000 4.942
Au Li Ge Y
2 1 1 1
Direct
0.500 0.000 0.000
0.000 0.000 0.500
0.500 0.500 0.500
0.000 0.000 0.000
0.000 0.500 0.000


ZrReRh2 | Alexandria | GGA-PBE | optimized geometry; formation energy = -48 kJ/mol of formula units; total energy = -36.196 eV for the cell shown; Fermi-level density of states = 5.28 states/eV per cell; excess energy over the best structure of this formula in the dataset = 217 meV per atom; M_tot = 0.0 μB per formula unit
1.0
3.389 0.000 0.000
0.000 3.389 0.000
0.000 0.000 5.691
Rh Zr Re
2 1 1
Direct
0.000 0.000 0.983
0.000 0.000 0.517
0.500 0.500 0.250
0.500 0.500 0.750


DyEr2AgN | Alexandria | GGA-PBE | optimized geometry; total energy = -28.718 eV for the cell shown; ΔE_f (raw) = -0.76 eV per atom; Fermi-level density of states = 6.41 states/eV per cell; M_tot = 0.0 μB per formula unit
1.0
-2.930 2.915 2.280
-1.803 -3.664 2.368
3.308 0.613 3.468
Er Dy N Ag
2 1 1 1
Direct
0.000 0.500 0.000
0.500 0.000 0.000
0.000 0.000 0.500
0.000 0.000 0.000
0.500 0.500 0.500


Zn2Te | Alexandria | GGA-PBE | optimized geometry; total energy = -15.734 eV for the cell shown; ΔE_f (raw) = 0.15 eV per atom; Fermi-level density of states = 4.14 states/eV per cell; excess energy over the best structure of this formula in the dataset = 269 meV per atom; M_tot = 0.0 μB per formula unit
1.0
-1.955 6.906 -2.631
-3.551 -2.907 6.114
2.855 1.759 2.494
Te Zn
3 6
Direct
0.333 0.667 0.000
0.667 0.333 0.000
0.000 0.000 0.500
0.000 0.557 0.500
0.000 0.263 0.000
0.737 0.737 0.000
0.557 0.000 0.500
0.443 0.443 0.500
0.263 0.000 0.000


Pr8AgIr3I4 | Alexandria | GGA-PBE | optimized geometry; total energy = -87.618 eV for the cell shown; ΔE_f (raw) = -0.86 eV per atom; Fermi-level density of states = 9.46 states/eV per cell; M_tot = 0.0 μB per formula unit
1.0
8.585 0.000 0.000
0.000 9.540 0.674
-4.292 -4.291 6.068
Ir Pr I Ag
3 8 4 1
Direct
0.500 0.500 0.500
0.500 0.500 0.000
0.000 0.500 0.500
0.711 0.688 0.950
0.761 0.312 0.522
0.729 0.686 0.458
0.761 0.312 0.050
0.239 0.688 0.950
0.289 0.312 0.050
0.271 0.314 0.542
0.239 0.688 0.478
0.500 0.000 0.500
0.000 0.000 0.500
0.000 0.000 0.000
0.500 0.000 0.000
0.000 0.500 0.000


KTaHg | Alexandria | GGA-PBE | optimized geometry; formation energy = 470 kJ/mol of formula units; total energy = -8.383 eV for the cell shown; Fermi-level density of states = 1.94 states/eV per cell; excess energy over the best structure of this formula in the dataset = 1335 meV per atom; M_tot = 0.0 μB per formula unit
1.0
0.000 3.542 3.542
3.542 0.000 3.542
3.542 3.542 0.000
Ta Hg K
1 1 1
Direct
0.750 0.750 0.750
0.000 0.000 0.000
0.250 0.250 0.250
>>>
# End of the crystal structures

Indoor Track & Field teams and individuals were congratulated for their wins at sectionals. Section Champions include:
Leia Patel 600m
Zoe Dichter 1000m
Lily Streicher 3000m
4x200 (Maria Roberts, Leia Patel, Eva Gibney, & Ari Sobel)
4x400 (Alice Nicassio, Shannon Kelly, Morgan Greco, & Zoe Dichter)
4x800 (Rachel Rakower, Cami Culang, Lexie Kiley, & Sydney Geringer)

And at the New Balance National Indoor Track & Field Championships, Shannon Kelly (800), Leia, Patel (400), Maria Roberts (200), & Ari Sobel (200) were named National Champions in the Sprint Medley Relay!

Thomas Iasiello was honored for his success in wrestling as he was named Sectional Champion!

The Boys’ Golf team was celebrated for their Section One Championship win. And it seems this win comes on the heels of success in 2017, '18, '19 (not held '20), '21, '23, and '24! Their team included: Justin, Reece, Leo, Cole, Thomas and Sajiv

== Materials data, kept here for reference ==
+++
## w
Entry from Alexandria: a relaxed Nd3YRu crystal (GGA-PBE).

Results
N(E_F)	13.9	states/eV/cell
space-group type	No. 31
spin magnetization	0.00	μB/atom

Cell lengths 6.4015, 6.5922, 7.7918 Å; angles 90.00, 90.00, 90.00 degrees
Fractional coordinates of all 10 atoms:
Nd (0.4229, 0.3331, 0.2008)
Nd (0.4255, 0.8587, 0.9501)
Nd (0.9255, 0.4941, 0.4501)
Nd (0.9230, 0.0197, 0.7007)
Nd (0.9255, 0.4941, 0.9514)
Nd (0.4255, 0.8587, 0.4514)
Y (0.4285, 0.3413, 0.7009)
Y (0.9284, 0.0115, 0.2007)
Ru (0.1758, 0.6745, 0.7008)
Ru (0.6758, 0.6783, 0.2008)

=====

## x
Entry from Alexandria: a relaxed Nd3YRu crystal (GGA-PBE).

Results
N(E_F)	8.5	states/eV/cell
space-group type	No. 221
spin magnetization	0.00	μB/atom

Cell lengths 5.5315, 5.5315, 5.5315 Å; angles 90.00, 90.00, 90.00 degrees
Fractional coordinates of all 5 atoms:
Y (0.5000, 0.5000, 0.5000)
Ru (0.0000, 0.0000, 0.0000)
Nd (0.0000, 0.5000, 0.0000)
Nd (0.0000, 0.0000, 0.5000)
Nd (0.5000, 0.0000, 0.0000)

=====

w wins, 10.1 kJ/mol of atoms ahead of the next structure.

=====

## w
Entry from Alexandria: a relaxed NdZn3Ru crystal (GGA-PBE).

Results
N(E_F)	13.1	states/eV/cell
space-group type	No. 74
spin magnetization	0.00	μB/atom

Cell lengths 5.0055, 9.2256, 8.3668 Å; angles 90.00, 90.00, 90.00 degrees
Fractional coordinates of all 20 atoms:
Nd (0.5000, 0.4753, 0.7500)
Nd (0.0000, 0.9753, 0.2500)
Nd (0.5000, 0.5247, 0.2500)
Nd (0.0000, 0.0247, 0.7500)
Zn (0.7500, 0.2500, 0.9954)
Zn (0.7500, 0.7500, 0.4954)
Zn (0.7500, 0.7500, 0.0046)
Zn (0.2500, 0.7500, 0.4954)
Zn (0.2500, 0.7500, 0.0046)
Zn (0.2500, 0.2500, 0.5046)
Zn (0.2500, 0.2500, 0.9954)
Zn (0.7500, 0.2500, 0.5046)
Zn (0.5000, 0.8351, 0.7500)
Zn (0.0000, 0.3351, 0.2500)
Zn (0.5000, 0.1649, 0.2500)
Zn (0.0000, 0.6649, 0.7500)
Ru (0.0000, 0.5000, 0.0000)
Ru (0.5000, 0.0000, 0.5000)
Ru (0.5000, 0.0000, 0.0000)
Ru (0.0000, 0.5000, 0.5000)

=====

## x
Entry from Alexandria: a relaxed NdZn3Ru crystal (GGA-PBE).

Results
N(E_F)	6.0	states/eV/cell
space-group type	No. 63
spin magnetization	0.00	μB/atom

Cell lengths 5.2940, 5.8154, 6.7203 Å; angles 115.64, 90.00, 90.00 degrees
Fractional coordinates of all 10 atoms:
Nd (0.2500, 0.3932, 0.7864)
Nd (0.7500, 0.6068, 0.2136)
Zn (0.2500, 0.8102, 0.6203)
Zn (0.7500, 0.1898, 0.3797)
Zn (0.2500, 0.3792, 0.2886)
Zn (0.7500, 0.6208, 0.7114)
Zn (0.2500, 0.9094, 0.2886)
Zn (0.7500, 0.0906, 0.7114)
Ru (0.0000, 0.0000, 0.0000)
Ru (0.5000, 0.0000, 0.0000)

=====

x wins, 6.8 kJ/mol of atoms ahead of the next structure.

=====

## w
Entry from Alexandria: a relaxed NdS4 crystal (GGA-PBE).

Results
N(E_F)	3.7	states/eV/cell
space-group type	No. 221
spin magnetization	1.00	μB/atom

Cell lengths 5.5438, 5.5438, 5.5438 Å; angles 90.00, 90.00, 90.00 degrees
Last column: magnetic moment on the atom in μB.
Fractional coordinates of all 5 atoms:
S (0.0000, 0.0000, 0.0000)  1.25
S (0.5000, 0.0000, 0.5000)  0.61
S (0.0000, 0.5000, 0.5000)  0.61
S (0.5000, 0.5000, 0.0000)  0.61
Nd (0.5000, 0.5000, 0.5000)  -0.04

=====
+++
== The materials data stop here ==

Awards 1                                                         Sam Saeed and Jack Reis

In Boys’ Tennis, the Doubles Team, Sam Saeed and Jack Reis made it to the final round at the State Championship!

Awards 2                                                             Track Sectional ChampionsTrack & Field Individual Sectional Champions included:
1600 M - Rishi Shadaksharappa
4x800M - Tyler Hogan, Brandon Cascade, Jack Sherman, & Charlie Rich
800 M - Shannon Kelly
2K Steeplechase - Rachel Rakower
4x400 M - Ari Sobel, Leia Patel, Zoe Dichter, & Shannon Kelly

After recognizing these special accomplishments at the sectional, regional, and state level, Mr. Pappalardi took time to salute the 22 seniors who are going on to compete in a sport at the highly selective, collegiate level. These athletes include:

1. Adelia Bandsma - Lacrosse - Smith College
2. Zephyr Connolly - Basketball - Geneseo
3. Veeran Dhaliwal - Crew - Cornell University
4. Samantha Fenigstein - Softball - Union College
5. Nina Franco - Lacrosse - Fairfield University
6. Mili Fukada - Track & Field - Soka University of America
7. Jacob Goldstein - Lacrosse - Hamilton College
8. Matthew Hill - Wrestling - New York University
9. Kevin Jiang - Swimming - University of Pennsylvania
10. Sabrina Katz - Lacrosse - Wesleyan University
11. Shannon Kelly - Track & Field -The College of the Holy Cross
12. Trevor Knopp - Lacrosse - Ithaca College
13. Bryan Manheimer - Swimming - New York University
14. Skylar Matusz - Lacrosse - Gettysburg College
15. Parker Mauro - Field Hockey - Wesleyan College
16. Joseph Sharpe III - Volleyball - Queens University of Charlotte
17. Elahe Sherrell - Soccer - University of St. Andrews
18. Maxine Silverman - Lacrosse - Lehigh University
19. Ariella Sobell - Track & Field - Kenyon College
20. Daruis Toosi - Track & Field - Bates College
21. Alina Zhang - Fencing - Yale University
22. Ian Zhou - Crew - Colby College

Awards 4                                                           Iron Athlete Award RecipientsMoving on to announce the last awards, Pappalardi first described that the Iron Athlete Award is given in recognition of interscholastic athletic participation in grades nine through twelve, for every season at Scarsdale High School, totaling twelve consecutive seasons. Athletes honored for this accomplishment included:
Sidonie DeHarveng, Emilia Gomez, Shannon Kelly, and William (Oscar Langford).

JoeJoe De Crescenzo, who is retiring this year, was recognized for his service and contributions.And in a special Iron Athlete award presentation, Joe De Crescenzo, who is retiring at the end of this school year was recognized for his “service and tireless efforts providing countless student-athletes with opportunities to participate in interscholastic athletics. Your commitment to our students, coaches, and staff has built a strong foundation for our programs and your legacy will continue to serve all involved for years to come.”

After a brief speech, De Crescenzo went on to present the The Scarsdale High School Scholar Athlete Honor Society Award and explained that it was started in the name of Grant Geiger in 1969 and is presented to top senior athletes who exemplifies:

● Dedication to their sport
● Competitive spirit
● Performance on and off the field of play
● Performance in the classroom, GPA of 3.5 or higher
● Positive attitude
● Citizenship
● Sportsmanship

Awards 7Jack Greco Jr and Abby Feuerstein won the Scholar Athlete Honor Society awards.
The winners of this year’s awards were Jack Greco Jr and Abby Feuerstein.

Ray                                                                 Ray Pappalardi In detailing the Scarsdale Raider Award, the last award of the evening, Pappalardi said, “A Scarsdale Raider will possess the attitude, work ethic, resilience, and leadership qualities to change the outcome of a game, culture of their team, or quality of a season by their presence. A Scarsdale Raider is a student‐athlete that any coach would desire on their team and whose positive contribution to the greater athletic program can be felt through their own athletic contributions as well as the contributions of others whom they have influenced. I need to add that this award was created eight years ago to acknowledge the contributions of those student-athletes who, typically, do not have the stats or receive traditional recognition such as All-League, All-Section or even MVP. Instead, this award recognizes all-heart, all-hustle, all-effort, and always there when you need them.” This year’s recipients of the Raider Award were William Oscar Langford and Emilia Gomez.

Boys Golf TeamThe Boys Golf team included: Justin Liu, Reece Schneider, Leo Chu, Cole Gerson, Thomas Kronenberg and Sajiv Mehta.

Flag Football team

In their inaugural year, the Girl’s Flag Football team had a lot to be proud of! The team not only won sectional and regional championships, but they were also NYSPHSAA Division 1 finalists. The Flag Football team included: Coach Newkirk, Mindy Genovese, Talia Arovas, Gianna Asen, Ivy Bookvar, Leah Brown, Sophia Cortes Nieto, Avery Dickstein, Naomi Fischer, Drew Frank, Emilia Gomez, Zachary Grossberg, Danielle Horn, Kate Kattan, Addison Lazarus, Reese Newman, Chloe Paquin, Katerina Rvacheva, Yuri Sato, Brady Silberfein, Sekana Slivjanovski, Lilly Tessler, Stella Van Arsdale.